A better world free from the boundaries we experience in our real lives, dismissing the chance of being socially isolated and improving the communication within our society. These are a few of the expectations of Virtual Reality, a technology which arose back in the 90s and promised to offer new possibilities in how we perceive our lives. Virtual worlds would offer us a better way of experiencing life than our real world. Authors such as John Perry Barlow and Julian Dibbell searched for a way to define this new technology by creating a distinction between the virtual and real world.
When Barlow experienced the new technology, he described it as a world without any of the usual limits, with no laws at all beyond those imposed by computer processing speed (Barlow 1990).
== Data records from another source follow ==
┌──
# 1
# PBE-GGA Sr2CuF6, optimized geometry
data_Sr2CuF6
_chemical_formula_sum 'Sr8 Cu4 F24'
_cell_length_a 5.8129
_cell_length_b 5.8129
_cell_length_c 16.5848
_cell_angle_alpha 90.00
_cell_angle_beta 90.00
_cell_angle_gamma 90.00
_space_group_name_H-M_alt 'P 1'
_space_group_IT_number 1
_space_group_name_Hall 'P 1'
loop_
_atom_site_label
_atom_site_fract_x
_atom_site_fract_y
_atom_site_fract_z
_atom_site_occupancy
Sr1 0.0000 0.0000 0.1614 1
Sr2 0.0000 0.0000 0.8386 1
Sr3 0.0000 0.5000 0.3376 1
Sr4 0.0000 0.5000 0.6624 1
Sr5 0.5000 0.0000 0.3376 1
Sr6 0.5000 0.0000 0.6624 1
Sr7 0.5000 0.5000 0.1614 1
Sr8 0.5000 0.5000 0.8386 1
Cu1 0.0000 0.0000 0.5000 1
Cu2 0.0000 0.5000 0.0000 1
Cu3 0.5000 0.0000 0.0000 1
Cu4 0.5000 0.5000 0.5000 1
F1 0.1651 0.3331 0.9189 1
F2 0.1669 0.3349 0.0811 1
F3 0.1724 0.1720 0.5806 1
F4 0.1720 0.8276 0.4194 1
F5 0.2422 0.7491 0.7505 1
F6 0.2491 0.7422 0.2495 1
F7 0.2509 0.2422 0.2495 1
F8 0.2578 0.2491 0.7505 1
F9 0.3280 0.3276 0.4194 1
F10 0.3276 0.6720 0.5806 1
F11 0.3331 0.8349 0.0811 1
F12 0.3349 0.8331 0.9189 1
F13 0.6651 0.1669 0.9189 1
F14 0.6669 0.1651 0.0811 1
F15 0.6724 0.3280 0.5806 1
F16 0.6720 0.6724 0.4194 1
F17 0.7422 0.7509 0.7505 1
F18 0.7491 0.7578 0.2495 1
F19 0.7509 0.2578 0.2495 1
F20 0.7578 0.2509 0.7505 1
F21 0.8280 0.1724 0.4194 1
F22 0.8276 0.8280 0.5806 1
F23 0.8331 0.6651 0.0811 1
F24 0.8349 0.6669 0.9189 1
# * electronic total energy: -5.204 eV per atom
# * ΔE to the lowest computed polymorph: 40 meV per atom
# * space-group type: P-4b2

***

# 2
# PBE-GGA Sm2ZnSb4, optimized geometry
data_Sm2ZnSb4
_chemical_formula_sum 'Sm2 Zn1 Sb4'
_cell_length_a 4.3537
_cell_length_b 4.3537
_cell_length_c 10.1875
_cell_angle_alpha 90.00
_cell_angle_beta 90.00
_cell_angle_gamma 90.00
_space_group_name_H-M_alt 'P 1'
_space_group_IT_number 1
_space_group_name_Hall 'P 1'
loop_
_atom_site_label
_atom_site_fract_x
_atom_site_fract_y
_atom_site_fract_z
_atom_site_occupancy
Sm1 0.0000 0.5000 0.2454 1
Sm2 0.5000 0.0000 0.7546 1
Zn1 0.5000 0.5000 0.5000 1
Sb1 0.0000 0.0000 0.0000 1
Sb2 0.0000 0.5000 0.6573 1
Sb3 0.5000 0.0000 0.3427 1
Sb4 0.5000 0.5000 0.0000 1
# * electronic total energy: -4.594 eV per atom
# * space-group type: P-4m2

***

# 3
# PBE-GGA ErAlNi, optimized geometry
data_ErAlNi
_chemical_formula_sum 'Er4 Al4 Ni4'
_cell_length_a 8.5451
_cell_length_b 5.2538
_cell_length_c 5.2538
_cell_angle_alpha 61.34
_cell_angle_beta 90.00
_cell_angle_gamma 90.00
_space_group_name_H-M_alt 'P 1'
_space_group_IT_number 1
_space_group_name_Hall 'P 1'
loop_
_atom_site_label
_atom_site_fract_x
_atom_site_fract_y
_atom_site_fract_z
_atom_site_occupancy
Er1 0.1816 0.0000 0.0000 1
Er2 0.2921 0.6691 0.6691 1
Er3 0.7079 0.6691 0.6691 1
Er4 0.8184 0.0000 0.0000 1
Al1 0.0000 0.4720 0.4720 1
Al2 0.5000 0.1657 0.1657 1
Al3 0.5000 0.1675 0.6619 1
Al4 0.5000 0.6619 0.1675 1
Ni1 0.0000 0.4822 0.9904 1
Ni2 0.0000 0.9904 0.4822 1
Ni3 0.2593 0.3329 0.3329 1
Ni4 0.7407 0.3329 0.3329 1
# * electronic total energy: -5.226 eV per atom
└──
While Barlow attempted to define a clear distinction between our virtual and real world, Dibbell realized both worlds are actually very much alike. The virtual world lets us experiment with our world and our identity, yet does involve real human emotions. Slowly but effectively we began to realize both worlds share a lot of similarities and was the virtual world increasingly taking part of our real life. Although the technology lost its hype and people began to distance themselves from the old expectations VR was going to deliver, authors such as Jaron Lanier still had high hopes for it. He believed people use VR to be able to share a dream with someone else and to take a little step away from the sense of isolation that people feel today. Steven Shaviro however felt that this revolutionary promise was unfulfilled and that it was impossible to achieve in the first place.
Although distanced from, the fulfillment of these old VR expectations are recognizable in social network sites such as Facebook. This social network allows us to connect with our real friends in a virtual world and attempts to enhance our social life. Our isolation is being dismissed and are we steering towards
References: Barlow, John Perry. 1990. Being in Nothingness: Virtual Reality and the Pioneers of Cyberspace. Mondo 2000, 2: 34-43. Benkler, Y. (2011). Networks of power, degrees of freedom. International Journal of Communication 5. Bolten, Sanne. "Het Cyberpest-virus." Metareporter. 10 Oct. 2010. Web. 24 May 2012. . Dibbell, Julian. 1998. My Tiny Life: Crime and Passion in a Virtual World. New York: Henry Holt, 11-29. Foucault, Michel. 1986. Of Other Spaces. Trans. Jay Miskowiec. Diacritics 16, 1: 22-27. Heilbrun, Adam. ‘A vintage virtual reality interview.’ Whole Earth Review, 1988. Rheingold, Howard. The Virtual Community: Homesteading on the Electronic Frontier. Reading, MA: Addison-Wesley Pub., 1993. Print. Shaviro, Steven. 2007. Money for Nothing: Virtual Worlds and Virtual Economies. unpublished ms., . Turkle, Sherry. Alone Together: Why We Expect More from Technology and Less from Each Other. New York: Basic, 2011. Print.